Request:
The reader should print the whole of the entries below exactly.

Material:
'''
(1)
LiVSi4H2O12 | SCAN | PBEsol geometry

Geometry as CIF:
```
data_LiVSi4H2O12
_chemical_formula_sum 'Li2 V2 Si8 H4 O24'
_cell_length_a 7.237
_cell_length_b 7.970
_cell_length_c 9.085
_cell_angle_alpha 65.24
_cell_angle_beta 89.22
_cell_angle_gamma 89.28
_symmetry_space_group_name_H-M 'P -1'
_symmetry_Int_Tables_number 2
_symmetry_space_group_name_Hall '-P 1'
loop_
_atom_site_label
_atom_site_type_symbol
_atom_site_fract_x
_atom_site_fract_y
_atom_site_fract_z
Li1 Li 0.118 0.294 0.313
V1 V 0.000 0.500 0.500
V2 V 0.500 0.000 0.500
Si1 Si 0.116 0.938 0.342
Si2 Si 0.246 0.896 0.812
Si3 Si 0.254 0.705 0.184
Si4 Si 0.379 0.278 0.671
H1 H 0.310 0.462 0.042
H2 H 0.414 0.288 0.178
O1 O 0.027 0.745 0.473
O2 O 0.043 0.898 0.732
O3 O 0.103 0.554 0.294
O4 O 0.207 0.901 0.194
O5 O 0.231 0.444 0.587
O6 O 0.245 0.734 0.996
O7 O 0.258 0.033 0.421
O8 O 0.278 0.098 0.813
O9 O 0.291 0.345 0.137
O10 O 0.409 0.848 0.711
O11 O 0.464 0.644 0.248
O12 O 0.468 0.204 0.542
```

theoretical density: 2.54 g cm⁻³
energy: -9.63 eV/atom
spin magnetization: 0.000 Bohr magnetons per cell
crystal system: triclinic

---

(2)
Li3TeHO4 | SCAN | PBEsol geometry

Geometry as CIF:
```
data_Li3TeHO4
_chemical_formula_sum 'Li6 Te2 H2 O8'
_cell_length_a 5.407
_cell_length_b 6.342
_cell_length_c 6.422
_cell_angle_alpha 90.00
_cell_angle_beta 114.14
_cell_angle_gamma 90.00
_symmetry_space_group_name_H-M 'P 1 21/m 1'
_symmetry_Int_Tables_number 11
_symmetry_space_group_name_Hall '-P 2yb'
loop_
_atom_site_label
_atom_site_type_symbol
_atom_site_fract_x
_atom_site_fract_y
_atom_site_fract_z
Li1 Li 0.216 0.250 0.152
Li2 Li 0.243 0.517 0.838
Te1 Te 0.334 0.750 0.337
H1 H 0.043 0.250 0.475
O1 O 0.014 0.750 0.691
O2 O 0.048 0.250 0.807
O3 O 0.405 0.525 0.178
```

theoretical density: 3.53 g cm⁻³
energy: -9.85 eV/atom
spin magnetization: 0.000 Bohr magnetons per cell
crystal system: monoclinic

---

(3)
LiTeH5O6 | SCAN | PBEsol geometry

Geometry as CIF:
```
data_LiTeH5O6
_chemical_formula_sum 'Li4 Te4 H20 O24'
_cell_length_a 7.548
_cell_length_b 7.452
_cell_length_c 10.675
_cell_angle_alpha 90.00
_cell_angle_beta 134.98
_cell_angle_gamma 90.00
_symmetry_space_group_name_H-M 'P 1 c 1'
_symmetry_Int_Tables_number 7
_symmetry_space_group_name_Hall 'P -2yc'
loop_
_atom_site_label
_atom_site_type_symbol
_atom_site_fract_x
_atom_site_fract_y
_atom_site_fract_z
Li1 Li 0.000 0.002 0.000
Li2 Li 0.508 0.497 0.018
Te1 Te 0.482 0.007 0.005
Te2 Te 0.985 0.497 0.495
H1 H 0.023 0.430 0.244
H2 H 0.228 0.273 0.002
H3 H 0.260 0.220 0.268
H4 H 0.282 0.261 0.730
H5 H 0.333 0.241 0.572
H6 H 0.649 0.242 0.938
H7 H 0.697 0.256 0.779
H8 H 0.741 0.230 0.248
H9 H 0.750 0.277 0.504
H10 H 0.939 0.069 0.713
O1 O 0.150 0.425 0.235
O2 O 0.156 0.263 0.593
O3 O 0.182 0.083 0.930
O4 O 0.267 0.407 0.046
O5 O 0.303 0.089 0.272
O6 O 0.479 0.233 0.581
O7 O 0.502 0.239 0.928
O8 O 0.695 0.095 0.243
O9 O 0.717 0.409 0.468
O10 O 0.793 0.073 0.577
O11 O 0.825 0.264 0.916
O12 O 0.832 0.419 0.270
```

theoretical density: 3.68 g cm⁻³
energy: -8.48 eV/atom
spin magnetization: 0.003 Bohr magnetons per cell
crystal system: monoclinic

---

(4)
Li4H6Os | SCAN | PBEsol geometry

Geometry as CIF:
```
data_Li4H6Os
_chemical_formula_sum 'Li24 H36 Os6'
_cell_length_a 8.0968
_cell_length_b 8.0968
_cell_length_c 9.9868
_cell_angle_alpha 90.00
_cell_angle_beta 90.00
_cell_angle_gamma 120.00
_symmetry_space_group_name_H-M 'R -3 c'
_symmetry_Int_Tables_number 167
_symmetry_space_group_name_Hall '-R 3 2"c'
loop_
_atom_site_label
_atom_site_type_symbol
_atom_site_fract_x
_atom_site_fract_y
_atom_site_fract_z
Li1 Li 0.0000 0.0000 0.2500
Li2 Li 0.0000 0.3874 0.2500
H1 H 0.0425 0.1906 0.4004
Os1 Os 0.0000 0.0000 0.0000
```

theoretical density: 3.94 g cm⁻³
energy: -9.79 eV/atom
spin magnetization: 0.010 Bohr magnetons per cell
crystal system: trigonal

---

(5)
LiPH | SCAN | PBEsol geometry

Geometry as CIF:
```
data_LiPH
_chemical_formula_sum 'Li4 P4 H4'
_cell_length_a 4.859
_cell_length_b 6.757
_cell_length_c 5.528
'''

Worked solution:
(1)
LiVSi4H2O12 | SCAN | PBEsol geometry

Geometry as CIF:
```
data_LiVSi4H2O12
_chemical_formula_sum 'Li2 V2 Si8 H4 O24'
_cell_length_a 7.237
_cell_length_b 7.970
_cell_length_c 9.085
_cell_angle_alpha 65.24
_cell_angle_beta 89.22
_cell_angle_gamma 89.28
_symmetry_space_group_name_H-M 'P -1'
_symmetry_Int_Tables_number 2
_symmetry_space_group_name_Hall '-P 1'
loop_
_atom_site_label
_atom_site_type_symbol
_atom_site_fract_x
_atom_site_fract_y
_atom_site_fract_z
Li1 Li 0.118 0.294 0.313
V1 V 0.000 0.500 0.500
V2 V 0.500 0.000 0.500
Si1 Si 0.116 0.938 0.342
Si2 Si 0.246 0.896 0.812
Si3 Si 0.254 0.705 0.184
Si4 Si 0.379 0.278 0.671
H1 H 0.310 0.462 0.042
H2 H 0.414 0.288 0.178
O1 O 0.027 0.745 0.473
O2 O 0.043 0.898 0.732
O3 O 0.103 0.554 0.294
O4 O 0.207 0.901 0.194
O5 O 0.231 0.444 0.587
O6 O 0.245 0.734 0.996
O7 O 0.258 0.033 0.421
O8 O 0.278 0.098 0.813
O9 O 0.291 0.345 0.137
O10 O 0.409 0.848 0.711
O11 O 0.464 0.644 0.248
O12 O 0.468 0.204 0.542
```

theoretical density: 2.54 g cm⁻³
energy: -9.63 eV/atom
spin magnetization: 0.000 Bohr magnetons per cell
crystal system: triclinic

---

(2)
Li3TeHO4 | SCAN | PBEsol geometry

Geometry as CIF:
```
data_Li3TeHO4
_chemical_formula_sum 'Li6 Te2 H2 O8'
_cell_length_a 5.407
_cell_length_b 6.342
_cell_length_c 6.422
_cell_angle_alpha 90.00
_cell_angle_beta 114.14
_cell_angle_gamma 90.00
_symmetry_space_group_name_H-M 'P 1 21/m 1'
_symmetry_Int_Tables_number 11
_symmetry_space_group_name_Hall '-P 2yb'
loop_
_atom_site_label
_atom_site_type_symbol
_atom_site_fract_x
_atom_site_fract_y
_atom_site_fract_z
Li1 Li 0.216 0.250 0.152
Li2 Li 0.243 0.517 0.838
Te1 Te 0.334 0.750 0.337
H1 H 0.043 0.250 0.475
O1 O 0.014 0.750 0.691
O2 O 0.048 0.250 0.807
O3 O 0.405 0.525 0.178
```

theoretical density: 3.53 g cm⁻³
energy: -9.85 eV/atom
spin magnetization: 0.000 Bohr magnetons per cell
crystal system: monoclinic

---

(3)
LiTeH5O6 | SCAN | PBEsol geometry

Geometry as CIF:
```
data_LiTeH5O6
_chemical_formula_sum 'Li4 Te4 H20 O24'
_cell_length_a 7.548
_cell_length_b 7.452
_cell_length_c 10.675
_cell_angle_alpha 90.00
_cell_angle_beta 134.98
_cell_angle_gamma 90.00
_symmetry_space_group_name_H-M 'P 1 c 1'
_symmetry_Int_Tables_number 7
_symmetry_space_group_name_Hall 'P -2yc'
loop_
_atom_site_label
_atom_site_type_symbol
_atom_site_fract_x
_atom_site_fract_y
_atom_site_fract_z
Li1 Li 0.000 0.002 0.000
Li2 Li 0.508 0.497 0.018
Te1 Te 0.482 0.007 0.005
Te2 Te 0.985 0.497 0.495
H1 H 0.023 0.430 0.244
H2 H 0.228 0.273 0.002
H3 H 0.260 0.220 0.268
H4 H 0.282 0.261 0.730
H5 H 0.333 0.241 0.572
H6 H 0.649 0.242 0.938
H7 H 0.697 0.256 0.779
H8 H 0.741 0.230 0.248
H9 H 0.750 0.277 0.504
H10 H 0.939 0.069 0.713
O1 O 0.150 0.425 0.235
O2 O 0.156 0.263 0.593
O3 O 0.182 0.083 0.930
O4 O 0.267 0.407 0.046
O5 O 0.303 0.089 0.272
O6 O 0.479 0.233 0.581
O7 O 0.502 0.239 0.928
O8 O 0.695 0.095 0.243
O9 O 0.717 0.409 0.468
O10 O 0.793 0.073 0.577
O11 O 0.825 0.264 0.916
O12 O 0.832 0.419 0.270
```

theoretical density: 3.68 g cm⁻³
energy: -8.48 eV/atom
spin magnetization: 0.003 Bohr magnetons per cell
crystal system: monoclinic

---

(4)
Li4H6Os | SCAN | PBEsol geometry

Geometry as CIF:
```
data_Li4H6Os
_chemical_formula_sum 'Li24 H36 Os6'
_cell_length_a 8.0968
_cell_length_b 8.0968
_cell_length_c 9.9868
_cell_angle_alpha 90.00
_cell_angle_beta 90.00
_cell_angle_gamma 120.00
_symmetry_space_group_name_H-M 'R -3 c'
_symmetry_Int_Tables_number 167
_symmetry_space_group_name_Hall '-R 3 2"c'
loop_
_atom_site_label
_atom_site_type_symbol
_atom_site_fract_x
_atom_site_fract_y
_atom_site_fract_z
Li1 Li 0.0000 0.0000 0.2500
Li2 Li 0.0000 0.3874 0.2500
H1 H 0.0425 0.1906 0.4004
Os1 Os 0.0000 0.0000 0.0000
```

theoretical density: 3.94 g cm⁻³
energy: -9.79 eV/atom
spin magnetization: 0.010 Bohr magnetons per cell
crystal system: trigonal

---

(5)
LiPH | SCAN | PBEsol geometry

Geometry as CIF:
```
data_LiPH
_chemical_formula_sum 'Li4 P4 H4'
_cell_length_a 4.859
_cell_length_b 6.757
_cell_length_c 5.528